(Excerpt)
........
1.
Entry from the Open Molecules 2025 dataset: a molecular structure, C31H20IN7O5S3W in a non-equilibrium geometry (wB97M-V/def2-TZVPD).

Calculated values
- gap between HOMO and LUMO (spin up / spin down) (eV) = 5.5 / 5.5
- lowest unoccupied orbital energy (spin up / spin down) (Eh) = -0.09213 / -0.09224
- energy relative to the best compared isomer or geometry (same formula, charge and spin) (eV) = 2.7056
- charge = 0
- HOMO energy (spin up / spin down) (eV) = -8.0 / -8.0

Each line ends with the Löwdin charge.
Positions of all 68 atoms, in Å:
W: -0.2882 -0.1639 -1.7710  1.1206
C: -3.7651 1.8899 -5.1583  -0.0566
C: -3.0671 2.5421 -3.9965  -0.2568
N: -3.3954 3.8138 -3.7718  0.1204
C: -2.8227 4.4814 -2.7800  -0.0758
C: -1.8645 3.9484 -1.9310  -0.1260
C: -1.2782 4.7811 -0.8211  -0.1928
O: 0.1360 4.9040 -0.8955  -0.0507
C: -1.4902 2.6221 -2.1385  -0.0757
C: -0.4568 1.9160 -1.3032  -0.2572
N: -0.9507 0.9809 -0.3806  -0.2161
C: -0.9029 0.9043 1.0142  -0.3638
C: -0.5245 1.9478 1.8503  -0.0051
C: -0.3824 1.7178 3.2121  -0.0319
C: -0.6405 0.4658 3.7594  -0.0409
C: -1.0344 -0.5845 2.9366  -0.1018
C: -1.1446 -0.3449 1.5823  -0.5564
I: -1.5832 -1.8612 0.1857  1.2171
C: -2.1210 1.9405 -3.1719  -0.1649
O: -1.7127 0.5894 -3.2525  -0.5828
H: -4.3306 2.6656 -5.6676  0.0868
H: -4.4598 1.1149 -4.8328  0.0791
H: -3.0663 1.4553 -5.8735  0.0541
H: -3.1471 5.5092 -2.6515  0.1212
H: -1.4893 4.3154 0.1414  0.1167
H: -1.7590 5.7627 -0.8141  0.1237
H: 0.3588 5.4930 -1.6235  0.1001
H: 0.3721 2.5503 -1.0028  0.0963
H: -0.2928 2.9155 1.4232  0.1085
H: -0.0215 2.4927 3.8761  0.1110
H: -0.4848 0.3097 4.8226  0.0913
H: -1.2163 -1.5675 3.3503  0.1122
S: -2.0788 -0.5339 -4.4743  1.0847
C: -1.2507 -1.8664 -3.6700  -0.5763
C: -2.0194 -3.0238 -3.4226  -0.0585
C: -1.4127 -4.1978 -3.0444  -0.1825
C: -2.2149 -5.3617 -2.7915  -0.1607
N: -2.8659 -6.2872 -2.5971  0.2009
C: -0.0028 -4.2449 -2.8897  -0.1764
C: 0.7503 -3.1152 -3.1144  -0.0669
C: 0.1597 -1.9033 -3.5287  -0.7437
S: 1.1515 -0.4573 -3.6790  0.6749
C: 0.6496 -5.4493 -2.4596  -0.1627
N: 1.1888 -6.3940 -2.0917  0.1989
H: -3.0945 -2.9828 -3.5314  0.1285
H: 1.8242 -3.1473 -2.9827  0.1298
O: 1.4690 1.6376 5.6913  -0.3648
S: 1.8232 0.5008 6.5253  0.4070
O: 2.6656 0.7918 7.6546  -0.3293
O: 0.7108 -0.4122 6.7622  -0.3553
C: 2.8373 -0.5444 5.4331  -0.3302
N: 3.5586 -1.5209 5.9913  0.1365
C: 4.1599 -2.3625 5.1669  -0.1042
C: 4.0108 -2.3006 3.7842  0.0048
C: 3.2339 -1.2575 3.3196  -0.2373
N: 2.6837 -0.3601 4.1302  0.1703
C: 2.8155 -1.0690 1.9119  -0.1146
C: 2.5914 0.2163 1.4328  0.0335
C: 1.9284 0.3804 0.2421  -0.0994
N: 1.4121 -0.6470 -0.4591  -0.1343
C: 1.7559 -1.8853 -0.0608  -0.1698
C: 2.4750 -2.1365 1.0866  0.0233
H: 4.7683 -3.1374 5.6221  0.1131
H: 4.4883 -3.0163 3.1291  0.1096
H: 2.8715 1.0768 2.0246  0.1360
H: 1.7315 1.3690 -0.1469  0.1077
H: 1.3857 -2.7057 -0.6589  0.0773
H: 2.6648 -3.1602 1.3785  0.1264

Atomic forces in eV per Å
W -0.49 -0.56 -0.74
C -0.01 -0.02 0.02
C 0.00 0.02 0.00
N 0.01 0.02 -0.01
C 0.00 -0.01 -0.01
C 0.02 -0.01 -0.04
C 0.00 0.01 0.00
O 0.01 0.01 0.00
C 0.01 -0.06 -0.03
C 0.20 0.14 -0.03
N 0.04 0.03 -0.12
C -0.04 -0.04 0.00
C -0.02 0.01 0.03
C 0.03 -0.06 0.07
C 0.02 0.06 0.04
C -0.02 -0.02 0.01
C -0.02 0.04 -0.03
I -0.03 -0.03 0.01
C 0.11 0.01 0.00
O -0.20 0.05 0.43
H -0.01 -0.01 0.00
H 0.02 -0.02 0.00
H 0.00 0.02 -0.01
H 0.01 0.00 0.00
H 0.01 -0.01 0.03
H 0.00 0.00 0.01
H 0.00 -0.01 -0.01
H -0.05 0.04 0.02
H 0.00 0.03 -0.02
H 0.00 0.00 -0.04
H 0.01 -0.06 -0.06
H 0.01 0.00 0.01
S 0.07 -0.05 -0.08
C 0.11 0.40 0.32
C 0.01 -0.21 0.11
C -0.11 0.09 -0.02
C 0.02 -0.01 -0.03
N -0.01 0.01 0.02
C 0.12 0.08 -0.01
C -0.05 -0.19 -0.04
C 0.31 0.11 0.22
S -0.05 0.26 0.00
C -0.03 0.00 0.01
N 0.01 0.00 -0.01
H 0.00 0.01 0.00
H 0.00 0.00 -0.03
O 0.00 0.06 0.02
S 0.03 -0.01 -0.11
O -0.04 0.01 0.06
O -0.02 0.07 -0.03
C -0.04 -0.12 0.14
N 0.07 0.07 -0.04
C -0.04 0.01 -0.02
C 0.05 -0.01 0.01
C 0.03 -0.03 -0.02
N -0.07 0.01 0.00
C 0.02 -0.03 -0.06
C 0.07 0.01 0.03
C -0.09 0.08 -0.03
N 0.09 -0.13 -0.01
........
(Brief)
Write out the whole of the notes earlier on character by character.
(Worked solution)
1.
Entry from the Open Molecules 2025 dataset: a molecular structure, C31H20IN7O5S3W in a non-equilibrium geometry (wB97M-V/def2-TZVPD).

Calculated values
- gap between HOMO and LUMO (spin up / spin down) (eV) = 5.5 / 5.5
- lowest unoccupied orbital energy (spin up / spin down) (Eh) = -0.09213 / -0.09224
- energy relative to the best compared isomer or geometry (same formula, charge and spin) (eV) = 2.7056
- charge = 0
- HOMO energy (spin up / spin down) (eV) = -8.0 / -8.0

Each line ends with the Löwdin charge.
Positions of all 68 atoms, in Å:
W: -0.2882 -0.1639 -1.7710  1.1206
C: -3.7651 1.8899 -5.1583  -0.0566
C: -3.0671 2.5421 -3.9965  -0.2568
N: -3.3954 3.8138 -3.7718  0.1204
C: -2.8227 4.4814 -2.7800  -0.0758
C: -1.8645 3.9484 -1.9310  -0.1260
C: -1.2782 4.7811 -0.8211  -0.1928
O: 0.1360 4.9040 -0.8955  -0.0507
C: -1.4902 2.6221 -2.1385  -0.0757
C: -0.4568 1.9160 -1.3032  -0.2572
N: -0.9507 0.9809 -0.3806  -0.2161
C: -0.9029 0.9043 1.0142  -0.3638
C: -0.5245 1.9478 1.8503  -0.0051
C: -0.3824 1.7178 3.2121  -0.0319
C: -0.6405 0.4658 3.7594  -0.0409
C: -1.0344 -0.5845 2.9366  -0.1018
C: -1.1446 -0.3449 1.5823  -0.5564
I: -1.5832 -1.8612 0.1857  1.2171
C: -2.1210 1.9405 -3.1719  -0.1649
O: -1.7127 0.5894 -3.2525  -0.5828
H: -4.3306 2.6656 -5.6676  0.0868
H: -4.4598 1.1149 -4.8328  0.0791
H: -3.0663 1.4553 -5.8735  0.0541
H: -3.1471 5.5092 -2.6515  0.1212
H: -1.4893 4.3154 0.1414  0.1167
H: -1.7590 5.7627 -0.8141  0.1237
H: 0.3588 5.4930 -1.6235  0.1001
H: 0.3721 2.5503 -1.0028  0.0963
H: -0.2928 2.9155 1.4232  0.1085
H: -0.0215 2.4927 3.8761  0.1110
H: -0.4848 0.3097 4.8226  0.0913
H: -1.2163 -1.5675 3.3503  0.1122
S: -2.0788 -0.5339 -4.4743  1.0847
C: -1.2507 -1.8664 -3.6700  -0.5763
C: -2.0194 -3.0238 -3.4226  -0.0585
C: -1.4127 -4.1978 -3.0444  -0.1825
C: -2.2149 -5.3617 -2.7915  -0.1607
N: -2.8659 -6.2872 -2.5971  0.2009
C: -0.0028 -4.2449 -2.8897  -0.1764
C: 0.7503 -3.1152 -3.1144  -0.0669
C: 0.1597 -1.9033 -3.5287  -0.7437
S: 1.1515 -0.4573 -3.6790  0.6749
C: 0.6496 -5.4493 -2.4596  -0.1627
N: 1.1888 -6.3940 -2.0917  0.1989
H: -3.0945 -2.9828 -3.5314  0.1285
H: 1.8242 -3.1473 -2.9827  0.1298
O: 1.4690 1.6376 5.6913  -0.3648
S: 1.8232 0.5008 6.5253  0.4070
O: 2.6656 0.7918 7.6546  -0.3293
O: 0.7108 -0.4122 6.7622  -0.3553
C: 2.8373 -0.5444 5.4331  -0.3302
N: 3.5586 -1.5209 5.9913  0.1365
C: 4.1599 -2.3625 5.1669  -0.1042
C: 4.0108 -2.3006 3.7842  0.0048
C: 3.2339 -1.2575 3.3196  -0.2373
N: 2.6837 -0.3601 4.1302  0.1703
C: 2.8155 -1.0690 1.9119  -0.1146
C: 2.5914 0.2163 1.4328  0.0335
C: 1.9284 0.3804 0.2421  -0.0994
N: 1.4121 -0.6470 -0.4591  -0.1343
C: 1.7559 -1.8853 -0.0608  -0.1698
C: 2.4750 -2.1365 1.0866  0.0233
H: 4.7683 -3.1374 5.6221  0.1131
H: 4.4883 -3.0163 3.1291  0.1096
H: 2.8715 1.0768 2.0246  0.1360
H: 1.7315 1.3690 -0.1469  0.1077
H: 1.3857 -2.7057 -0.6589  0.0773
H: 2.6648 -3.1602 1.3785  0.1264

Atomic forces in eV per Å
W -0.49 -0.56 -0.74
C -0.01 -0.02 0.02
C 0.00 0.02 0.00
N 0.01 0.02 -0.01
C 0.00 -0.01 -0.01
C 0.02 -0.01 -0.04
C 0.00 0.01 0.00
O 0.01 0.01 0.00
C 0.01 -0.06 -0.03
C 0.20 0.14 -0.03
N 0.04 0.03 -0.12
C -0.04 -0.04 0.00
C -0.02 0.01 0.03
C 0.03 -0.06 0.07
C 0.02 0.06 0.04
C -0.02 -0.02 0.01
C -0.02 0.04 -0.03
I -0.03 -0.03 0.01
C 0.11 0.01 0.00
O -0.20 0.05 0.43
H -0.01 -0.01 0.00
H 0.02 -0.02 0.00
H 0.00 0.02 -0.01
H 0.01 0.00 0.00
H 0.01 -0.01 0.03
H 0.00 0.00 0.01
H 0.00 -0.01 -0.01
H -0.05 0.04 0.02
H 0.00 0.03 -0.02
H 0.00 0.00 -0.04
H 0.01 -0.06 -0.06
H 0.01 0.00 0.01
S 0.07 -0.05 -0.08
C 0.11 0.40 0.32
C 0.01 -0.21 0.11
C -0.11 0.09 -0.02
C 0.02 -0.01 -0.03
N -0.01 0.01 0.02
C 0.12 0.08 -0.01
C -0.05 -0.19 -0.04
C 0.31 0.11 0.22
S -0.05 0.26 0.00
C -0.03 0.00 0.01
N 0.01 0.00 -0.01
H 0.00 0.01 0.00
H 0.00 0.00 -0.03
O 0.00 0.06 0.02
S 0.03 -0.01 -0.11
O -0.04 0.01 0.06
O -0.02 0.07 -0.03
C -0.04 -0.12 0.14
N 0.07 0.07 -0.04
C -0.04 0.01 -0.02
C 0.05 -0.01 0.01
C 0.03 -0.03 -0.02
N -0.07 0.01 0.00
C 0.02 -0.03 -0.06
C 0.07 0.01 0.03
C -0.09 0.08 -0.03
N 0.09 -0.13 -0.01